**Listing**
<<<
Starting from a DFT-relaxed cell (GGA-PBE, OQMD), the X-ray powder pattern of PrYZn6 was calculated for Cu Kα (λ = 1.5418 Å).

Crystal structure
Lattice parameters (Å, degrees): 4.747 6.711 4.748 90.00 90.00 90.00
Fractional coordinates of all 8 atoms:
Pr 0.000 0.000 0.000
Y 0.500 0.500 0.494
Zn 0.000 0.259 0.501
Zn 0.000 0.500 0.999
Zn 0.000 0.741 0.501
Zn 0.500 0.000 0.496
Zn 0.500 0.259 0.993
Zn 0.500 0.741 0.993

The 10 most intense peaks (5° ≤ 2θ ≤ 70°), low angle first:
- hkl 1 0 0, 4.747 Å, I 1.1
- hkl 1 1 0, 3.876 Å, I 4.6
- hkl 0 2 0, 3.356 Å, I 2.4
- hkl 1 1 1, 3.002 Å, I 1.3
- hkl 2 0 0, 2.373 Å, I 100.0
- hkl 0 3 1, 2.024 Å, I 2.3
- hkl 2 0 2, 1.678 Å, I 16.6
- hkl 3 1 0, 1.540 Å, I 1.0
- hkl 1 4 1, 1.501 Å, I 1.0
- hkl 3 2 1, 1.370 Å, I 32.5

* * * * *

Entry 1:
Diffraction record for Sn2P2O9. The powder diffraction line list is simulated, not measured: it uses a DFT-relaxed cell (GGA-PBE, Alexandria) and Cu Kα (λ = 1.5418 Å).
Peak positions follow from Bragg's law for the DFT cell and can differ from measured ones.

Top 10 peaks for 10 to 90 degrees two-theta, by angle:
2θ (°)	d_spacing	I_rel
12.3	7.220	100
12.6	7.045	42
16.5	5.381	85
17.4	5.105	38
18.4	4.813	70
21.5	4.134	50
22.9	3.886	55
29.9	2.985	94
33.9	2.645	42
47.5	1.912	40

Structural model:
```
data_Sn2P2O9
_cell_length_a 14.440
_cell_length_b 6.590
_cell_length_c 8.070
_cell_angle_alpha 90.00
_cell_angle_beta 90.00
_cell_angle_gamma 90.00
_symmetry_space_group_name_H-M 'P n m a'
_symmetry_Int_Tables_number 62
loop_
_symmetry_equiv_pos_as_xyz
'x,y,z'
'-x,-y,-z'
'-x+1/2,-y,z+1/2'
'x+1/2,y,-z+1/2'
'x+1/2,-y+1/2,-z+1/2'
'-x+1/2,y+1/2,z+1/2'
'-x,y+1/2,-z'
'x,-y+1/2,z'
loop_
_atom_site_label
_atom_site_type_symbol
_atom_site_fract_x
_atom_site_fract_y
_atom_site_fract_z
_atom_site_occupancy
Sn1 Sn 0.000 0.000 0.000 1
Sn2 Sn 0.123 0.250 0.354 1
P1 P 0.059 0.750 0.351 1
P2 P 0.194 0.750 0.917 1
O1 O 0.002 0.750 0.177 1
O2 O 0.010 0.250 0.508 1
O3 O 0.041 0.250 0.143 1
O4 O 0.120 0.562 0.346 1
O5 O 0.133 0.556 0.938 1
O6 O 0.223 0.250 0.542 1
O7 O 0.244 0.750 0.745 1
```

Entry 2:
Diffraction record for PrNd2HoTl2. The powder diffraction line list is simulated, not measured: it uses a DFT-relaxed cell (GGA-PBE, Alexandria) and Cu Kα (λ = 1.5418 Å).
Peak positions follow from Bragg's law for the DFT cell and can differ from measured ones.

Top 10 peaks for 10 to 90 degrees two-theta, by angle:
2θ (°)	d_spacing	I_rel
29.1	3.071	19
30.8	2.899	58
31.0	2.883	21
31.3	2.862	100
32.1	2.790	82
33.9	2.647	37
34.3	2.612	60
36.8	2.442	24
51.2	1.784	19
59.6	1.552	19

Structural model:
```
data_PrNd2HoTl2
_cell_length_a 5.223
_cell_length_b 10.263
_cell_length_c 6.972
_cell_angle_alpha 90.00
_cell_angle_beta 90.00
_cell_angle_gamma 90.00
_symmetry_space_group_name_H-M 'P m c 21'
_symmetry_Int_Tables_number 26
loop_
_symmetry_equiv_pos_as_xyz
'x,y,z'
'-x,-y,z+1/2'
'-x,y,z'
'x,-y,z+1/2'
loop_
_atom_site_label
_atom_site_type_symbol
_atom_site_fract_x
_atom_site_fract_y
_atom_site_fract_z
_atom_site_occupancy
Pr1 Pr 0.000 0.045 0.000 1
Nd1 Nd 0.000 0.318 0.374 1
Nd2 Nd 0.500 0.453 0.097 1
Ho1 Ho 0.500 0.189 0.719 1
Tl1 Tl 0.000 0.358 0.838 1
Tl2 Tl 0.500 0.128 0.265 1
```

Entry 3:
Diffraction record for AlCu2Pt6. The powder diffraction line list is simulated, not measured: it uses a DFT-relaxed cell (GGA-PBE, Alexandria) and Cu Kα (λ = 1.5418 Å).
Peak positions follow from Bragg's law for the DFT cell and can differ from measured ones.

Top 10 peaks for 10 to 90 degrees two-theta, by angle:
2θ (°)	d_spacing	I_rel
15.4	5.757	7
33.4	2.683	16
40.3	2.240	100
45.7	1.984	19
47.4	1.919	29
68.0	1.379	20
69.2	1.357	8
80.9	1.189	13
83.2	1.161	18
87.0	1.120	9

Structural model:
```
data_AlCu2Pt6
_cell_length_a 8.142
_cell_length_b 8.142
_cell_length_c 3.967
_cell_angle_alpha 90.00
_cell_angle_beta 90.00
_cell_angle_gamma 90.00
_symmetry_space_group_name_H-M 'P 42/m n m'
_symmetry_Int_Tables_number 136
_symmetry_space_group_name_Hall '-P 4n 2n'
loop_
_atom_site_label
>>>

**Activity**
Now say how many lines of the contents above hold the word "Ho", as a bare number.

**Here it is**
1